77583 Johnstone, Chris 595 2006-08-21
United States, Virginia, Richmond, Totuskey Creek Watershed, 37.9086111 -76.6158333
64461 Baldwin, Patrick 675 1992-10-22
United States, Virginia, Hampton City, Langley Research & Development Park, 37.085892 -76.389356
31408 Bradley, Ted 5540 1973-05-29
United States, Virginia, Fairfax, Pohick Creek and Old Colchester Rd, 38.698415 -77.202003
Dr. C.C. Crampton 640 1913-00-00
United States, Illinois, ILLINOIS, Kankakee Co, Kankakee reg.
v0336713WIS Lange, Kenneth I. s.n. 1974-06-30
United States, Wisconsin, Polk, Interstate State Park, 45.389129 -92.657429
v0067693WIS Cawley, E. T.; Koeppen, Robert C. 571 1958-08-16
United States, Wisconsin, Winnebago, Winnebago. Near Winnebago, along double railroad tracks, 44.07575636 -88.53317921
v0067592WIS Nee, M. 15814 1977-08-21
United States, Wisconsin, Crawford, Wauzeka. Floodplain forest bounded by Kickapoo River, Wisconsin River and railroad, 0-2mi E of Wauzeka., 43.08851101 -90.82928126
v0067612WIS Struik, Gwen s.n. 1957-05-11
United States, Wisconsin, Green, Spring Grove. "Spring Grove" Ecol. Sta. #1032; CTH K near CTH OK, 42.5230161 -89.45453035
v0067596WIS Zimmerman, James H. 3208 1950-07-08
United States, Wisconsin, Dane, Mount Horeb, 43.05353099 -89.76992653
v0067585WIS Weber, P.; Ugent, Donald, Zimmerman, James H. s.n. 1959-09-03
United States, Wisconsin, Bayfield, Mason. Banks of White River, E of Hwy 63, E of Mason, 46.43517891 -91.03992129
v0067605WIS Iltis, Hugh H.; Long, R., Rudolph, Em. D. 13811 1959-07-25
United States, Wisconsin, Grant, Mccartney. Horse Thief Hollow, 0.5mi E of McCartney along Mississippi River, 42.68095788 -90.84196566
v0067584WIS Brown, Robert T. 231 1948-07-23
United States, Wisconsin, Adams, Friendship. 2.25 mi N of Friendship, 44.00331513 -89.80762749
v0069270WIS Thompson, Kathy L. 668 1991-08-06
United States, Wisconsin, Buffalo, Nelson Trevino Bottoms State Natural Area. I mi. N of Waubesha, MN. Also T22N, R14W, S. 1,2,3,4,10,11,12,13; T23N, R14W, S. 33,34,35; T22N, R13W,S. 6; Northcentral area
v0067671WIS Iltis, Hugh H. 16541 1960-05-29
United States, Wisconsin, St. Croix, Across from Marine, MN, 45.20179215 -92.75925656
v0067691WIS Iltis, Hugh H.; Kane, James, Marcks, Brian G. 24207 1965-06-12
United States, Wisconsin, Waupaca, North Readfield. 1mi N of North Readfield on CTH W, 44.28665 -88.76955
v0067652WIS Leitner, Lawrence A. 650 1988-06-08
United States, Wisconsin, Racine, Sander's Park Hardwoods State Natural Area, 42.67342739 -87.84072966
v0427152WIS Derek S. Anderson; Stephanie P. Lyon, Lawton S. Riness, Lillian G. Johnson, Kayla A. Witt, Alexa, D. Nicola 3981 2022-06-04
United States, Wisconsin, Crawford, Rush Creek State Natural Area. About 7.9 km southwest of De Soto. About 150 m northeast of the intersection of Rush Creek Rd. and State Hwy. 35., 43.368104 -91.136792
v0067611WIS Struik, G.; Christensen, M., Bray, R. s.n. 1956-08-08
United States, Wisconsin, Green, Juda. 1mi SW of Juda, Juda Prairie along railroad tracks, 42.56771909 -89.51373319
v0067655WIS Nee, M. 16245-a 1978-06-18
United States, Wisconsin, Richland, Boscobel. Wisconsin River valley bluff, above Hwy. 60. 4mi NE of Boscobel, 43.19702352 -90.65946832
v0067609WIS Hansen, Bruce F.; Nee, M. 2718 1974-07-25
United States, Wisconsin, Grant, Burton. ca. 5mi NE of Burton, 42.75305422 -90.77321922
v0113471WIS Fields, Douglas M. 1854 1994-08-09
United States, Wisconsin, Taylor, Jump River, 45.35649 -90.79156
v0425549WIS John G. Zaborsky; Paul Marcum, Jean Mengelkoch, Susan McIntyre, Sunshine Love 4829 2022-06-04
United States, Wisconsin, Crawford, Sugar Creek Bluff, Mississippi Valley Conservancy property south of Ferryville, 43.345748 -91.075901
v0332732WIS Ryckman, Raymond E.; Ryckman, Joseph V., Ryckman, A. E., Ryckman, E. T. 85 1961-07-16
United States, Wisconsin, Lafayette, Pan American Research Institute Field Station, Monticello Twp., 42.5153379 -90.1815106
v0415497WIS Nee, M. H. 65283 2019-07-25
United States, Wisconsin, Crawford, Prairie du Chien, St. Feriole Island, Marais de St. Feriole (St. Feriole Slough), by boat landing., 43.059722 -91.151944, 190m
v0067634WIS Cheney, L. S. 2909 1893-08-04
United States, Wisconsin, Marathon, Granite Heights. Valley of the Wisconsin River near Granite Heights, 45.05997 -89.63957
v0332733WIS Ryckman, Raymond E. 85.1 1961-07-16
United States, Minnesota, Wadena, 10 mi N of Staples, 46.500297 -94.792241
v0067663WIS Nee, M. 14517 1976-05-31
United States, Wisconsin, Richland, [SW of Boaz], 43.27219603 -90.5839266
v0067631WIS Ryckman, R. E.; Ryckman, E. T., Ryckman, J. V. s.n. 1961-06-16
Attached: crystal structures:
+++
CuTcSe2 | PBE | optimized geometry

Values from the calculation:
M_tot	0.0	μB/f.u.
raw formation energy	12	kJ/mol of formula units
calculated total energy	-5.33	eV per atom

abc: 3.258 3.469 13.565
angles: 90.00 90.00 90.00
Space group Imm2 (No. 44)
One atom of each set of equivalent atoms:
Cu  0.000  0.000  0.000 (multiplicity 2)
Tc  0.000  0.500  0.151 (multiplicity 2)
Se  0.000  0.000  0.498 (multiplicity 2)
Se  0.000  0.500  0.738 (multiplicity 2)
+++
Here the piece continues:
United States, Wisconsin, Lafayette, P.R.I. [Apparently at or on WI - IL border], 42.51536783 -90.18153535
v0067613WIS Struik, Gwen s.n. 1954-07-31
United States, Wisconsin, Green, Spring Grove. Ecol. Sta. #1032; CTH K near CTH OK, 42.52674937 -89.45950661
v0323604WIS Nee, M. 62344 2015-07-07
United States, Wisconsin, Richland, Smith Slough and Sand Prairie Natural Area, 1.15 km. W of Hwy. 133 in Lone Rock; woods and edge of Wisconsin River at E end of the RR bridge, 43.1819444 -90.2302778, 221m
v0329792WIS Hollingsworth, Tiffany 55 1998-10-10
United States, Wisconsin, Grant, 0.25mi S of Hwy 81, 42.81621876 -90.82492798, 305m
v0125755WIS Cochrane, Theodore S.; Cochrane, Barbara A. 7887 1977-05-08
United States, Wisconsin, Washington, Kewaskum Woods SNA, Southern Unit, just E of Milwaukee River, between Hwy 28 and CTH H, 1 mi. due SE of Kewaskum, 43.50825662 -88.20353027
v0293250WIS Nee, M. 58176 2011-10-05
United States, Wisconsin, Richland, Along flowing channel, about halfway between Garner Lake and Lower Lake, Wisconsin River floodplain, 43.1925 -90.6263889, 167m
v0067680WIS Iltis, Hugh H.; Kane, James, Marcks, Brian G. 24814 1965-06-13
United States, Wisconsin, Sheboygan, Cascade. Kettle Moraine State Forest: 2mi NW of Cascade just S of CTH N, Twp. of Lyndon, on Nichols Creek, 43.68696987 -88.03271892
v0069273WIS Nee, M. 43757 1993-08-13
United States, Wisconsin, Richland, Blue River. 2 mi W of Blue River. Garner Lake area, 43.19691268 -90.60953738
v0067624WIS Allen, D. G.; Wright, P. L. s.n. 1938-06-03
United States, Wisconsin, Jefferson, Wollin's Woods, Milford Twp.
v0067602WIS Iltis, Hugh H.; Reid, Archie, Ichida, A. 10342 1957-09-17
United States, Wisconsin, Grant, Tufa Falls, 3 mi. SSW of Platteville, 42.67832848 -90.49949601
v0067587WIS Baird, E. A. s.n. 1920-08-21
United States, Wisconsin, Buffalo, Fountain City, 44.13191 -91.71876
v0067601WIS Iltis, Hugh H. 20578 1962-07-07
United States, Wisconsin, Grant, Wyalusing State Park: Upper Mississippi River Refuge, 42.9758788 -91.12377674
v0067623WIS Cross, R. C. 142 1959-07-24
United States, Wisconsin, Iowa, Tower Hill State Park, along E boundry of park, 43.15427333 -90.04451995
v0113499WIS Fields, Douglas M. 502 1993-08-07
United States, Wisconsin, Taylor, Black River, 45.11634308 -90.57486788
v0067665WIS Swezey, G. D. s.n. 1876-06-22
United States, Wisconsin, Rock, Beloit, 42.50835 -89.03178
v0069272WIS Leitner, Lawrence A. 2523 1989-05-17
United States, Wisconsin, Dodge, Mayville Ledges State Natural Area, 43.45926208 -88.53641232
v0067583WIS Sörensen, Paul D. 4303 1962-08-20
United States, Wisconsin, Adams, woods bordering creek 14-mile Creek, 44.20613188 -89.80838141
v0067595WIS Zimmerman, James H. 3068 1950-06-20
United States, Wisconsin, Dane, Monona. Belle Isle, SE shore of Lake Monona, 43.05469204 -89.33538421
v0067589WIS Nelson, Mikkel M. 134 1984-05-21
United States, Wisconsin, Burnett, Floodplain of St. Croix River, 45.71906288 -92.86270881
v0067649WIS Johnson, Miles s.n. 1960-06-25
United States, Wisconsin, Pierce, Clifton. Edge of Kinnickinnic River, 44.82655362 -92.730921
v0067620WIS Schaack, Clark; Schaack, Barbara 2384 1989-07-01
United States, Wisconsin, Iowa, Mineral Point. vicinity of Rock Branch Trout Stream just S of Mineral Point on Hwy 73., 42.83612104 -90.14236985
v0067625WIS Nee, M. 20645 1981-05-17
United States, Wisconsin, Jefferson, Fort Atkinson. along NE side of Bark River, just above the confluence with Rock River, 0.5mi E of Fort Atkinson, 42.92013379 -88.82205263
v0067593WIS Nee, M. 15814 1977-08-21
United States, Wisconsin, Crawford, Wauzeka. Floodplain forest bounded by Kickapoo River, Wisconsin River and railroad, 0-2mi E of Wauzeka., 43.08851101 -90.82928126
v0067662WIS Nee, M. 5915 1973-07-02
United States, Wisconsin, Richland, Lone Rock. Along Bear Creek at CTH JJ bridge, 3mi NW of Lone Rock, 43.21528495 -90.22470561
v0067678WIS Liesner, Ronald L. 41 1964-06-23
United States, Wisconsin, Shawano, [S of Bonduel, along Hwy 47], 44.69807859 -88.43399582
v0067650WIS Heddle, J. s.n. 1936-06-21
United States, Wisconsin, Racine, Racine
v0067628WIS Sohmer, S. H. 7321 1972-09-24
United States, Wisconsin, La Crosse, La Crosse. La Crosse, Myrick Pk. Marsh. Causeway beginning at Myrick Pk. Zoo, 43.82136 -91.22541
v0067674WIS Barnes, Wm. J. 287 1966-07-16
United States, Wisconsin, Sauk, in Hemlock Draw, 43.35822487 -90.06324218
v0067629WIS Iltis, Hugh H. 9596 1957-07-09
United States, Wisconsin, Lafayette, Benton. Stone Bluffs above Galena River, 3.5mi S of Benton, 42.51795021 -90.3923592
v0067648WIS Hansen, Bruce F.; Nee, M., Phillips, Marc N. 3967 1976-09-14
United States, Wisconsin, Pierce, across main channel of Mississippi River; 0.25mi N of Red Wing, MN, 44.56956744 -92.54369363
v0067687WIS Gale, Harriet; Struik, Gwen s.n. 1957-06-17
United States, Wisconsin, Vernon, Ontario. [S of Ontario] N-facing slope near Kickapoo River, 43.68930643 -90.6018235
v0067659WIS Nee, M. 16244 1978-06-18
United States, Wisconsin, Richland, Boscobel. Wisconsin River valley bluff, 4mi NE of Boscobel., 43.19702352 -90.65946832
v0067599WIS Hulick, B.; Larson, R., Liddicoat, S. s.n. 1982-05-13
United States, Wisconsin, Dane, Madison. 3mi SE of Madison, 0.5mi N of Hwy. 12/18, 0.5mi E of CTH AB, 43.05651025 -89.23809492
v0067681WIS Cheney, L. S. 3180 1894-06-25
United States, Wisconsin, Taylor, Goodrich
v0067660WIS Nee, M. 6309 1973-07-26
United States, Wisconsin, Richland, Ithaca. 3mi NE of Ithaca. E and SE facing Cambrian sandstone cliffs above Willow Creek valley, 43.37644884 -90.26899864
v0067594WIS Heddle, J. R. 529 1907-07-09
United States, Wisconsin, Dane, Madison. Lake Mendota, W of Madison
v0067646WIS Hansen, Bruce F.; Nee, M., Phillips, Marc N. 4430 1976-09-23
United States, Wisconsin, Pierce, El Paso. Along Rush River, 1.5mi NW of El Paso; 3.5mi SE of Martell, 44.79134112 -92.36533819
v0067676WIS Peters, Linda 228 1973-10-05
United States, Wisconsin, Sauk, S of CTH W [E of Baraboo] Potter Estate, 43.45987775 -89.65059803
v0067603WIS Iltis, Hugh H.; Salamun, Peter J. 10220 1957-08-28
United States, Wisconsin, Grant, Wyalusing State Park: Upper Mississippi River Refuge, 42.9758788 -91.12377674
v0067670WIS Iltis, Hugh H. 16462 1960-05-29
United States, Wisconsin, St. Croix, Across from Marine, MN, 45.20179215 -92.75925656
v0067619WIS Iltis, Hugh H. 10509 1958-05-20
United States, Wisconsin, Green, Abraham's Woods
v0067679WIS Goessl, Chas. s.n.
United States, Wisconsin, Sheboygan, Sheboygan, 43.75083 -87.71453
v0428891WIS Edward G. Voss 13811 1972-05-20
United States, Michigan, Muskegon, Ravenna Tp, ca. 3 mi. SSW of Ravenna, Rio Grande Creek., 43.149288 -85.95975
v0428892WIS Edward G. Voss 6603 1958-06-18
United States, Michigan, Lapeer, By South Branch, Flint River, sec. 36, Marathon Tp, and sec. 1, Oregon Tp, ca. 3 mi. SE of Columbiaville., 43.125933 -83.368435
v0161742WIS Mahlberg, Paul G. 384 1999-08-05
United States, Wisconsin, Door, Fish Creek. Wandering Road., 45.10505241 -87.2044217
v0067610WIS DeMaster, Doug s.n. 1972-09-23
United States, Wisconsin, Grant, [W of jct. hwys. 11 & 35], 42.53008793 -90.6317607
v0067616WIS Rice, M.; Rice, W. 2982 1975-06-12
United States, Wisconsin, Green, Cadiz. N side of Hwy. 11, 42.58718358 -89.76976845
v0067645WIS Patman, Jacqueline; Long, R., Struik, Gwen s.n. 1959-06-28
United States, Wisconsin, Pierce, Prescott. Natural levee along the Mississippi River, [just S of Prescott], 44.72701264 -92.74992761
v0067640WIS Kline, V. s.n. 1973-09-23
United States, Wisconsin, Monroe, [Along CTH F, E of St Marys], 43.79115589 -90.62171266
v0067692WIS Cawley, E. T.; Koeppen, Robert C. 571 1958-08-16
United States, Wisconsin, Winnebago, Winnebago. Near Winnebago, along double railroad tracks, 44.07575636 -88.53317921
v0067690WIS Leitner, Lawrence A. 1142 1988-06-13
United States, Wisconsin, Waukesha, Muskego, 42.89780489 -88.16186698
v0067684WIS Hansen, H. P. 220 1929-06-23
United States, Wisconsin, Vernon, Viroqua, 43.55692 -90.88874
v0067604WIS Iltis, Hugh H. 16018 1960-05-20
United States, Wisconsin, Grant, CTH Q, 43.01005402 -90.59625431
v0067667WIS Rice, M. 2344 1969-09-23
United States, Wisconsin, Rock, Turtle. Turtle Creek Floodplain at Lathers Rd. bridge, 42.56112301 -88.96317385
v0067632WIS Nelson, Peter K. s.n. 1946-06-25
United States, Wisconsin, Lafayette, Darlington. W side of Darlington; Water-works Hill, 42.67544757 -90.12245489
v0067636WIS Goff, F. Glenn s.n. 1964-08-06
United States, Wisconsin, Menominee, Powerline Moonseed Hardwoods Stand #17, 45.00223348 -88.95351044
v0067607WIS Bergseng, Margaret Schmidt s.n. 1945-10-07
United States, Wisconsin, Grant, Platteville. On Bell's Bluff, Roundtree Branch
v0067673WIS Zimmerman, James H. 1586 1946-11-02
United States, Wisconsin, Sauk, Devils Lake State Park, Devils Lake
v0067598WIS Nee, M. 20821 1981-06-20
United States, Wisconsin, Dane, Madison. Bascom Woods behind Limnology Lab. UW-Madison campus
v0067656WIS Nee, M. 16245-b 1978-06-18
United States, Wisconsin, Richland, Boscobel. Wisconsin River valley bluff, above Hwy. 60. 4mi NE of Boscobel, 43.19702352 -90.65946832
v0067630WIS Dennis, J. B.; Liesner, Ronald L. s.n. 1966-09-11
United States, Wisconsin, Lafayette, [At or near WI - IL border, S of Benton]
v0067591WIS Gale, Harriet; Struik, Gwen s.n. 1957-06-19
United States, Wisconsin, Clark, [Hwy 73 just E of int. with Hwy 95] Cunningham Creek, 44.50571052 -90.56340685
v0067677WIS Simon, Helen; Mickle, A. s.n. 1971-06-07
United States, Wisconsin, Sauk, 43.35829671 -90.02383091
v0067627WIS Hartley, Thomas G. 2801 1956-08-30
United States, Wisconsin, La Crosse, La Crosse. Roadsise behind La Crosse Country Club golf course., 43.81969 -91.21086
v0067622WIS Iltis, Hugh H.; Rudolph, E. 14496 1959-00-00
United States, Wisconsin, Iowa, Dodgeville. R. Hanson farm, "Pinnacle Farm", 43.08196266 -89.88724499
v0067586WIS Nee, M. 1051 1968-07-24
United States, Wisconsin, Buffalo, Mertes estate, along the Mississippi RIver, 44.07635108 -91.64131976
v0067600WIS Iltis, Hugh H.; Botany 160 Class 10326 1958-05-18
United States, Wisconsin, Grant, Wyalusing State Park: above junct. Wisconsin and Mississippi Rivers, East Wilderness Areas, 42.99585341 -91.09169379
v0229890WIS Stolt, Joie 04-118 2004-08-04
United States, Iowa, Allamakee, North Unit - southern forest. [NNE of Yellow River]
v0067658WIS Nee, M. 2610 1969-09-20
United States, Wisconsin, Richland, [SW of Twin Bluffs], 43.24536123 -90.36536681
v0067608WIS Wunderlin, R. P. s.n. 1960-09-27
United States, Wisconsin, Grant, Potosi, 42.68944 -90.71207
v0067688WIS Leitner, Lawrence A. 1803 1988-07-27
United States, Wisconsin, Washington, Kewaskum Maple-Oak Woods State Natural Area, 43.51007934 -88.20601847
v0308852WIS Wood, Kenneth W. 169 1964-05-05
United States, Tennessee, Campbell, 13 mi. S of Tenn./Ky. Border on US 25w
v0308851WIS Wood, Kenneth W. 73 1964-10-07
United States, Indiana, Wayne, Richmond, Earlham College and vicinity; Home of Dr. Markle, National Road West